# 1
An isolated molecule of C3H5NO at a distorted geometry, computed with the ωB97M-V functional and the def2-TZVPD basis.

The calculation puts the frontier orbital gap (spin up / spin down) at 9.68 / 6.91 eV. For the calculated total energy, the calculation gives -6724.344 eV. For the largest force on an atom, the calculation gives 3.3 eV/Å.

ORCA input file:
```
! wB97M-V def2-TZVPD RIJCOSX def2/J DEFGRID3
* xyz 0 1
C 0.8724 -1.0097 -0.6588
C -0.8913 0.0785 0.7563
H -1.5135 2.0273 -0.0572
H 1.3453 -0.8075 -1.6232
N -1.2228 -0.5066 1.7545
C -0.7002 1.4194 0.3350
H 0.7489 -2.0906 -0.5427
H 0.2520 1.9161 0.5119
H 1.5117 -0.6444 0.1557
O -0.4026 -0.3824 -0.6316
*
```

***

# 2
A cluster of 2 separate species, C5H11NO in total at a distorted geometry, computed with the ωB97M-V functional and the def2-TZVPD basis.

The calculation puts the frontier orbital gap (spin up / spin down) at 3.01 / 5.69 eV. For the calculated total energy, the calculation gives -8898.395 eV. For the largest force on an atom, the calculation gives 2.9 eV/Å.

ORCA input file:
```
! wB97M-V def2-TZVPD RIJCOSX def2/J DEFGRID3
* xyz -1 2
H 1.7870 -1.1827 -3.2445
H -3.6960 1.2664 0.9617
H 1.4567 0.7179 -1.9950
H 1.3642 -2.3692 -1.7685
H 0.2163 1.9001 -0.7368
H -0.0318 -1.8845 2.4850
C 1.2358 -0.2449 -1.5295
C 0.7754 -0.0645 -0.1519
H 0.6418 -2.1876 0.2669
O -3.0651 1.9595 1.1341
C 1.5268 -1.4000 -2.2144
H -0.6820 1.2259 0.6846
H 0.9761 1.8163 0.8782
C 0.5797 -1.1695 0.6236
N -0.1508 -1.1113 1.8652
C 0.2827 1.3287 0.1835
H -0.8638 -0.4171 2.0382
H -2.3532 1.8165 0.5197
*
```

***

# 3
An isolated molecule of C5H7NO, computed with the ωB97M-V functional and the def2-TZVPD basis.

The calculation puts the frontier orbital gap (spin up / spin down) at 8.07 / 8.12 eV. For the calculated total energy, the calculation gives -8830.299 eV. For the largest force on an atom, the calculation gives 0.9 eV/Å.

ORCA input file:
```
! wB97M-V def2-TZVPD RIJCOSX def2/J DEFGRID3
* xyz 0 1
H 1.3278 0.6473 1.0399
H -0.8798 1.3875 1.0261
C 1.1353 0.5842 -1.1590
H -1.6987 -1.5239 0.9530
H -1.0523 0.6898 -1.2803
H 2.1645 -0.7513 0.3044
H -0.5481 -0.7716 2.0443
H -0.3883 -0.7228 -2.1403
C -0.2436 -0.0576 -1.2823
C -1.0104 -0.6757 1.0425
C 1.3089 -0.0736 0.2101
N 0.0217 -0.7651 0.0049
C -1.7152 0.6482 0.9666
O 1.7884 1.3186 -1.8427
*
```

***

# 4
The ion C2H9N3O2P with charge -1 at a distorted geometry, computed with the ωB97M-V functional and the def2-TZVPD basis.

The calculation puts the frontier orbital gap at 8.67 eV. As for the structure (SMILES): CN(C)N[P@@](N)(=O)[O-]. For the calculated total energy, the calculation gives -20075.812 eV. For the largest force on an atom, the calculation gives 4.1 eV/Å.

ORCA input file:
```
! wB97M-V def2-TZVPD RIJCOSX def2/J DEFGRID3
* xyz -1 1
O 2.8401 -0.9116 -1.1962
C -1.4692 0.5112 0.5024
H 2.4111 1.9842 0.5361
H -1.3488 -1.7531 -0.5780
H -1.9627 0.0749 -0.4311
H 0.4353 -1.9363 -0.1501
O 2.5879 -0.7903 1.2930
H -0.6992 -2.1760 1.0323
N -0.2341 -0.1891 0.5745
H -1.1007 1.4981 0.4374
N 0.6411 0.5218 -0.3239
P 2.4326 -0.1276 -0.0226
H -2.0534 0.0673 1.3085
H 0.5673 0.0158 -1.2914
H 3.9810 1.7564 0.0793
N 2.9727 1.5207 -0.1565
C -0.5245 -1.5498 0.1422
*
```

***

# 5
A structure of composition C22H54CrN7O10 at a distorted geometry, computed with the ωB97M-V functional and the def2-TZVPD basis.

The calculation puts the frontier orbital gap (spin up / spin down) at 8.50 / 9.04 eV. For the calculated total energy, the calculation gives -83015.831 eV. For the largest force on an atom, the calculation gives 3.4 eV/Å.

ORCA input file:
```
! wB97M-V def2-TZVPD RIJCOSX def2/J DEFGRID3
* xyz 0 4
H 1.8597 -1.0246 -37.5411
O 5.2628 4.0047 -37.9297
H 3.6927 -1.6430 -38.4147
H 2.9473 5.5877 -33.6299
N -1.8790 -3.0688 -35.7395
H -3.1639 3.2364 -39.0592
H 3.0226 4.3868 -36.3887
H 0.4582 3.1538 -42.0292
H 3.5468 3.4996 -34.9882
H 2.3584 6.2805 -35.1502
H 4.1078 1.2039 -40.8928
H -2.0209 0.6793 -36.7112
C 1.0832 0.5703 -41.7775
C 1.5933 -0.0238 -37.1690

Say how many lines of the rows further up hold the word "C22H54CrN7O10", as a bare number, please.

1